Now set down all of the rows below without additions.

+++
A structure of composition C44H37AsIrN3PS3, computed with wB97M-V/def2-TZVPD.

```
90
Properties=species:S:1:pos:R:3:forces:R:3:lowdin_spin:R:1
Ir -1.102194 0.400971 0.766443 -0.16 -0.57 0.19 0.928
C 0.991784 0.034748 5.947863 -0.03 -0.01 0.03 0.022
S 0.260602 1.570013 5.377797 0.02 0.02 0.02 0.100
C -0.374639 1.123922 3.817872 -0.03 0.10 0.00 0.114
S -0.352111 -0.448474 3.207509 0.09 0.09 -0.08 0.386
N -0.891012 2.205602 3.213440 0.06 -0.15 0.00 0.238
N -1.293253 2.071736 1.975409 -0.16 0.26 0.01 0.367
C -1.923919 3.221234 1.473265 0.08 -0.08 -0.01 0.386
C -2.335208 3.242835 0.153326 0.04 0.03 0.05 0.070
C -2.982959 4.375856 -0.408571 -0.01 0.00 -0.03 0.128
C -3.380225 4.344430 -1.716665 0.00 0.03 0.03 0.013
C -3.138644 3.191053 -2.472535 0.01 -0.02 -0.03 0.162
C -2.495194 2.122586 -1.868265 0.04 0.05 0.02 0.012
N -2.089160 2.124388 -0.606397 -0.10 0.09 -0.14 0.258
H 1.443784 0.270690 6.909333 0.01 -0.01 0.01 0.000
H 1.756395 -0.314062 5.255900 0.00 0.02 -0.02 0.005
H 0.231988 -0.731735 6.079238 0.00 -0.02 0.01 0.006
H -2.063725 4.051164 2.148936 0.01 0.02 0.03 0.014
H -3.150792 5.245075 0.211833 0.00 0.01 0.02 0.005
H -3.874466 5.197434 -2.160747 -0.01 0.01 0.00 -0.003
H -3.439702 3.122975 -3.507460 0.00 -0.01 -0.02 0.010
H -2.289159 1.223382 -2.435471 -0.05 0.04 -0.02 -0.002
S -3.192126 -0.257017 1.475683 0.20 0.11 -0.06 0.531
C -3.304438 -1.996153 1.386308 0.01 0.02 -0.04 0.039
C -4.386865 -2.622280 2.012757 0.00 0.00 -0.01 0.056
C -4.513627 -3.997857 1.948520 0.01 -0.01 -0.01 -0.008
C -3.581679 -4.754367 1.246103 -0.01 0.02 0.01 0.064
C -2.513187 -4.133976 0.610535 0.01 0.00 0.01 -0.004
C -2.363370 -2.759383 0.691666 0.04 -0.02 -0.02 0.048
As -0.971371 -1.786613 -0.240519 -0.05 0.09 0.00 0.000
C -1.523118 -2.137950 -2.061047 0.00 0.04 0.02 0.002
C -2.621267 -1.413672 -2.515938 0.00 -0.02 -0.01 0.000
C -3.119496 -1.634186 -3.790104 -0.01 0.01 -0.01 0.000
C -2.520518 -2.579564 -4.613294 0.00 0.00 0.00 0.000
C -1.437467 -3.312853 -4.153402 0.01 0.00 0.02 0.000
C -0.938865 -3.098947 -2.873881 0.01 -0.03 -0.01 0.000
C 0.619414 -2.830097 0.060954 0.00 0.00 0.03 0.000
C 1.690558 -2.770859 -0.827048 -0.02 0.05 -0.07 0.000
C 2.885671 -3.401347 -0.512796 -0.01 0.00 0.01 0.000
C 3.019650 -4.082610 0.688336 -0.01 0.01 0.00 0.000
C 1.956788 -4.133808 1.579616 0.00 -0.01 0.00 0.000
C 0.758413 -3.506751 1.270797 0.00 -0.01 -0.02 0.000
H -5.112831 -2.023868 2.546485 -0.01 0.01 0.01 0.001
H -5.344515 -4.483720 2.441331 -0.01 0.00 0.00 -0.002
H -3.690979 -5.828447 1.187644 0.00 -0.02 0.00 0.004
H -1.797793 -4.727294 0.052481 0.00 0.01 0.01 -0.001
H -3.100079 -0.687164 -1.866522 0.01 -0.03 0.01 0.001
H -3.978566 -1.075660 -4.138197 -0.01 0.00 -0.01 0.000
H -2.907450 -2.752825 -5.608146 0.00 0.00 -0.02 0.000
H -0.978843 -4.059346 -4.788131 0.00 -0.01 -0.01 0.000
H -0.100814 -3.686982 -2.522051 -0.01 0.01 0.00 0.000
H 1.608461 -2.222510 -1.759916 -0.02 -0.03 0.04 0.000
H 3.713962 -3.352795 -1.206847 0.02 0.00 -0.01 0.000
H 3.953223 -4.572175 0.931107 0.01 -0.01 0.00 0.000
H 2.058716 -4.660700 2.519049 0.00 -0.01 0.01 0.000
H -0.058221 -3.537992 1.981686 -0.02 0.00 0.00 0.000
C 2.377629 -0.392091 -4.012125 -0.02 -0.01 0.01 0.000
C 1.034505 -0.146682 -3.762018 0.02 -0.01 0.00 0.000
C 0.642528 0.328490 -2.519749 -0.03 -0.02 0.01 0.001
C 1.582826 0.565953 -1.521506 0.04 0.04 0.01 0.002
C 2.929519 0.324414 -1.781464 0.03 0.00 0.00 0.000
C 3.321976 -0.156068 -3.021755 0.00 0.00 0.00 0.000
P 1.026469 1.198017 0.091014 0.02 0.05 0.03 0.013
C 2.437625 0.864294 1.184007 -0.03 -0.12 0.02 0.003
C 2.553804 -0.417453 1.720438 0.00 0.05 0.01 0.005
C 3.648657 -0.756700 2.497360 0.04 0.02 0.02 0.002
C 4.637207 0.184109 2.752445 -0.01 -0.03 0.00 0.000
C 4.536275 1.456492 2.211295 -0.01 0.01 -0.02 0.002
C 3.446643 1.794204 1.421484 0.05 0.05 -0.02 0.000
C 1.019605 3.009497 -0.111430 -0.05 0.01 -0.08 0.002
C 1.097897 3.837911 1.008536 -0.03 -0.03 0.05 0.006
C 0.994052 5.213384 0.875360 -0.02 -0.01 0.01 0.004
C 0.787802 5.778268 -0.375112 0.01 -0.01 -0.03 0.000
+++

A structure of composition C44H37AsIrN3PS3, computed with wB97M-V/def2-TZVPD.

```
90
Properties=species:S:1:pos:R:3:forces:R:3:lowdin_spin:R:1
Ir -1.102194 0.400971 0.766443 -0.16 -0.57 0.19 0.928
C 0.991784 0.034748 5.947863 -0.03 -0.01 0.03 0.022
S 0.260602 1.570013 5.377797 0.02 0.02 0.02 0.100
C -0.374639 1.123922 3.817872 -0.03 0.10 0.00 0.114
S -0.352111 -0.448474 3.207509 0.09 0.09 -0.08 0.386
N -0.891012 2.205602 3.213440 0.06 -0.15 0.00 0.238
N -1.293253 2.071736 1.975409 -0.16 0.26 0.01 0.367
C -1.923919 3.221234 1.473265 0.08 -0.08 -0.01 0.386
C -2.335208 3.242835 0.153326 0.04 0.03 0.05 0.070
C -2.982959 4.375856 -0.408571 -0.01 0.00 -0.03 0.128
C -3.380225 4.344430 -1.716665 0.00 0.03 0.03 0.013
C -3.138644 3.191053 -2.472535 0.01 -0.02 -0.03 0.162
C -2.495194 2.122586 -1.868265 0.04 0.05 0.02 0.012
N -2.089160 2.124388 -0.606397 -0.10 0.09 -0.14 0.258
H 1.443784 0.270690 6.909333 0.01 -0.01 0.01 0.000
H 1.756395 -0.314062 5.255900 0.00 0.02 -0.02 0.005
H 0.231988 -0.731735 6.079238 0.00 -0.02 0.01 0.006
H -2.063725 4.051164 2.148936 0.01 0.02 0.03 0.014
H -3.150792 5.245075 0.211833 0.00 0.01 0.02 0.005
H -3.874466 5.197434 -2.160747 -0.01 0.01 0.00 -0.003
H -3.439702 3.122975 -3.507460 0.00 -0.01 -0.02 0.010
H -2.289159 1.223382 -2.435471 -0.05 0.04 -0.02 -0.002
S -3.192126 -0.257017 1.475683 0.20 0.11 -0.06 0.531
C -3.304438 -1.996153 1.386308 0.01 0.02 -0.04 0.039
C -4.386865 -2.622280 2.012757 0.00 0.00 -0.01 0.056
C -4.513627 -3.997857 1.948520 0.01 -0.01 -0.01 -0.008
C -3.581679 -4.754367 1.246103 -0.01 0.02 0.01 0.064
C -2.513187 -4.133976 0.610535 0.01 0.00 0.01 -0.004
C -2.363370 -2.759383 0.691666 0.04 -0.02 -0.02 0.048
As -0.971371 -1.786613 -0.240519 -0.05 0.09 0.00 0.000
C -1.523118 -2.137950 -2.061047 0.00 0.04 0.02 0.002
C -2.621267 -1.413672 -2.515938 0.00 -0.02 -0.01 0.000
C -3.119496 -1.634186 -3.790104 -0.01 0.01 -0.01 0.000
C -2.520518 -2.579564 -4.613294 0.00 0.00 0.00 0.000
C -1.437467 -3.312853 -4.153402 0.01 0.00 0.02 0.000
C -0.938865 -3.098947 -2.873881 0.01 -0.03 -0.01 0.000
C 0.619414 -2.830097 0.060954 0.00 0.00 0.03 0.000
C 1.690558 -2.770859 -0.827048 -0.02 0.05 -0.07 0.000
C 2.885671 -3.401347 -0.512796 -0.01 0.00 0.01 0.000
C 3.019650 -4.082610 0.688336 -0.01 0.01 0.00 0.000
C 1.956788 -4.133808 1.579616 0.00 -0.01 0.00 0.000
C 0.758413 -3.506751 1.270797 0.00 -0.01 -0.02 0.000
H -5.112831 -2.023868 2.546485 -0.01 0.01 0.01 0.001
H -5.344515 -4.483720 2.441331 -0.01 0.00 0.00 -0.002
H -3.690979 -5.828447 1.187644 0.00 -0.02 0.00 0.004
H -1.797793 -4.727294 0.052481 0.00 0.01 0.01 -0.001
H -3.100079 -0.687164 -1.866522 0.01 -0.03 0.01 0.001
H -3.978566 -1.075660 -4.138197 -0.01 0.00 -0.01 0.000
H -2.907450 -2.752825 -5.608146 0.00 0.00 -0.02 0.000
H -0.978843 -4.059346 -4.788131 0.00 -0.01 -0.01 0.000
H -0.100814 -3.686982 -2.522051 -0.01 0.01 0.00 0.000
H 1.608461 -2.222510 -1.759916 -0.02 -0.03 0.04 0.000
H 3.713962 -3.352795 -1.206847 0.02 0.00 -0.01 0.000
H 3.953223 -4.572175 0.931107 0.01 -0.01 0.00 0.000
H 2.058716 -4.660700 2.519049 0.00 -0.01 0.01 0.000
H -0.058221 -3.537992 1.981686 -0.02 0.00 0.00 0.000
C 2.377629 -0.392091 -4.012125 -0.02 -0.01 0.01 0.000
C 1.034505 -0.146682 -3.762018 0.02 -0.01 0.00 0.000
C 0.642528 0.328490 -2.519749 -0.03 -0.02 0.01 0.001
C 1.582826 0.565953 -1.521506 0.04 0.04 0.01 0.002
C 2.929519 0.324414 -1.781464 0.03 0.00 0.00 0.000
C 3.321976 -0.156068 -3.021755 0.00 0.00 0.00 0.000
P 1.026469 1.198017 0.091014 0.02 0.05 0.03 0.013
C 2.437625 0.864294 1.184007 -0.03 -0.12 0.02 0.003
C 2.553804 -0.417453 1.720438 0.00 0.05 0.01 0.005
C 3.648657 -0.756700 2.497360 0.04 0.02 0.02 0.002
C 4.637207 0.184109 2.752445 -0.01 -0.03 0.00 0.000
C 4.536275 1.456492 2.211295 -0.01 0.01 -0.02 0.002
C 3.446643 1.794204 1.421484 0.05 0.05 -0.02 0.000
C 1.019605 3.009497 -0.111430 -0.05 0.01 -0.08 0.002
C 1.097897 3.837911 1.008536 -0.03 -0.03 0.05 0.006
C 0.994052 5.213384 0.875360 -0.02 -0.01 0.01 0.004
C 0.787802 5.778268 -0.375112 0.01 -0.01 -0.03 0.000